-- Excerpt --
........
Structure and computed powder diffractogram of KHoAgO3 (a PBE-relaxed structure; λ = 1.5418 Å (Cu Kα)).
Kinematic intensities with the Lorentz-polarization factor, no thermal factor.

Largest 10 diffraction maxima, low angle first, 15° ≤ 2θ ≤ 90°:
- 27.22 deg, intensity 40
- 27.91 deg, intensity 77
- 28.63 deg, intensity 27
- 31.79 deg, intensity 68
- 31.98 deg, intensity 100
- 36.10 deg, intensity 55
- 37.48 deg, intensity 30
- 37.99 deg, intensity 98
- 52.86 deg, intensity 34
- 53.93 deg, intensity 39

Crystal structure
a = 6.8052 Å, b = 3.5249 Å, c = 9.9463 Å
α = 90.00°, β = 109.88°, γ = 90.00°
Fractional positions:
K 0.2456 0.2500 0.2419
K 0.7544 0.7500 0.7581
Ho 0.3271 0.7500 0.8656
Ho 0.6729 0.2500 0.1344
Ag 0.1454 0.2500 0.5753
Ag 0.8546 0.7500 0.4247
O 0.0943 0.2500 0.7987
O 0.3166 0.7500 0.6212
O 0.4412 0.7500 0.0996
O 0.5588 0.2500 0.9004
O 0.6834 0.2500 0.3788
O 0.9057 0.7500 0.2013

Structure and computed powder diffractogram of ScU4C5 (a PBE-relaxed structure; λ = 1.5418 Å (Cu Kα)).
Kinematic intensities with the Lorentz-polarization factor, no thermal factor.

Largest 10 diffraction maxima, low angle first, 15° ≤ 2θ ≤ 90°:
- 31.70 deg, intensity 100
- 36.77 deg, intensity 64
- 53.01 deg, intensity 37
- 62.97 deg, intensity 15
- 63.12 deg, intensity 30
- 66.13 deg, intensity 8
- 66.32 deg, intensity 8
- 86.95 deg, intensity 10
- 89.67 deg, intensity 7
- 89.79 deg, intensity 11

Crystal structure
a = 9.1645 Å, b = 9.1645 Å, c = 9.1645 Å
α = 158.29°, β = 149.10°, γ = 38.09°
Fractional positions:
Sc 0.0000 0.0000 0.0000
U 0.1983 0.1983 0.0000
U 0.4025 0.4025 0.0000
U 0.5975 0.5975 0.0000
U 0.8017 0.8017 0.0000
C 0.1001 0.6001 0.5000
C 0.3016 0.8016 0.5000
C 0.5000 0.0000 0.5000
C 0.6984 0.1984 0.5000
C 0.8999 0.3999 0.5000

Structure and computed powder diffractogram of Tl2HgAuCl6 (a PBE-relaxed structure; λ = 1.5418 Å (Cu Kα)).
Kinematic intensities with the Lorentz-polarization factor, no thermal factor.

Largest 10 diffraction maxima, low angle first, 15° ≤ 2θ ≤ 90°:
- 21.34 deg, intensity 89
- 21.46 deg, intensity 87
- 22.31 deg, intensity 68
- 24.64 deg, intensity 68
- 25.45 deg, intensity 59
- 25.56 deg, intensity 59
- 33.48 deg, intensity 100
- 33.58 deg, intensity 30
- 35.92 deg, intensity 46
- 43.59 deg, intensity 40

Crystal structure
a = 6.9760 Å, b = 7.0100 Å, c = 8.2427 Å
α = 67.28°, β = 67.09°, γ = 62.21°
Fractional positions:
Tl 0.2136 0.2141 0.3131
Tl 0.7864 0.7859 0.6869
Hg 0.0000 0.0000 0.0000
Au 0.5000 0.5000 0.5000
Cl 0.2025 0.6802 0.3405
Cl 0.2199 0.2150 0.8972
Cl 0.3152 0.7989 0.6577
Cl 0.6848 0.2011 0.3423
Cl 0.7801 0.7850 0.1028
Cl 0.7975 0.3198 0.6595

Structure and computed powder diffractogram of Li4ErTh3Te8 (a PBE-relaxed structure; λ = 1.5418 Å (Cu Kα)).
Kinematic intensities with the Lorentz-polarization factor, no thermal factor.

Largest 10 diffraction maxima, low angle first, 15° ≤ 2θ ≤ 90°:
- 24.24 deg, intensity 33
- 29.03 deg, intensity 100
- 31.58 deg, intensity 23
- 41.01 deg, intensity 38
- 42.01 deg, intensity 37
- 51.88 deg, intensity 20
- 60.16 deg, intensity 12
- 67.45 deg, intensity 17
- 68.88 deg, intensity 17
- 76.08 deg, intensity 12

Crystal structure
a = 8.8072 Å, b = 8.8072 Å, c = 8.8072 Å
α = 58.46°, β = 58.46°, γ = 58.46°
Fractional positions:
Li 0.0000 0.0000 0.0000
Li 0.0000 0.5000 0.5000
Li 0.5000 0.0000 0.5000
Li 0.5000 0.5000 0.0000
Er 0.5000 0.5000 0.5000
Th 0.0000 0.0000 0.5000
Th 0.0000 0.5000 0.0000
Th 0.5000 0.0000 0.0000
Te 0.2493 0.2493 0.7369
Te 0.2493 0.7369 0.2493
Te 0.2577 0.2577 0.2577
Te 0.2631 0.7507 0.7507
Te 0.7369 0.2493 0.2493
Te 0.7423 0.7423 0.7423
Te 0.7507 0.2631 0.7507
Te 0.7507 0.7507 0.2631

~~~~~

For Pm3Tm6Tl, a GGA-PBE-relaxed structure gives the theoretical powder diffractogram in this record (Cu Kα).
No peak broadening, texture or thermal motion is included.

Crystal structure
a b c (Å): 12.763 3.485 14.145
angles (deg): 90.00 100.69 90.00
Element x y z (fractional)
Pm (0.075, 0.250, 0.101)
Pm (0.368, 0.750, 0.494)
........
-- Request --
Please reproduce the block above from the first line to the one with "67.45 deg," without altering anything.
-- Done --
Structure and computed powder diffractogram of KHoAgO3 (a PBE-relaxed structure; λ = 1.5418 Å (Cu Kα)).
Kinematic intensities with the Lorentz-polarization factor, no thermal factor.

Largest 10 diffraction maxima, low angle first, 15° ≤ 2θ ≤ 90°:
- 27.22 deg, intensity 40
- 27.91 deg, intensity 77
- 28.63 deg, intensity 27
- 31.79 deg, intensity 68
- 31.98 deg, intensity 100
- 36.10 deg, intensity 55
- 37.48 deg, intensity 30
- 37.99 deg, intensity 98
- 52.86 deg, intensity 34
- 53.93 deg, intensity 39

Crystal structure
a = 6.8052 Å, b = 3.5249 Å, c = 9.9463 Å
α = 90.00°, β = 109.88°, γ = 90.00°
Fractional positions:
K 0.2456 0.2500 0.2419
K 0.7544 0.7500 0.7581
Ho 0.3271 0.7500 0.8656
Ho 0.6729 0.2500 0.1344
Ag 0.1454 0.2500 0.5753
Ag 0.8546 0.7500 0.4247
O 0.0943 0.2500 0.7987
O 0.3166 0.7500 0.6212
O 0.4412 0.7500 0.0996
O 0.5588 0.2500 0.9004
O 0.6834 0.2500 0.3788
O 0.9057 0.7500 0.2013

Structure and computed powder diffractogram of ScU4C5 (a PBE-relaxed structure; λ = 1.5418 Å (Cu Kα)).
Kinematic intensities with the Lorentz-polarization factor, no thermal factor.

Largest 10 diffraction maxima, low angle first, 15° ≤ 2θ ≤ 90°:
- 31.70 deg, intensity 100
- 36.77 deg, intensity 64
- 53.01 deg, intensity 37
- 62.97 deg, intensity 15
- 63.12 deg, intensity 30
- 66.13 deg, intensity 8
- 66.32 deg, intensity 8
- 86.95 deg, intensity 10
- 89.67 deg, intensity 7
- 89.79 deg, intensity 11

Crystal structure
a = 9.1645 Å, b = 9.1645 Å, c = 9.1645 Å
α = 158.29°, β = 149.10°, γ = 38.09°
Fractional positions:
Sc 0.0000 0.0000 0.0000
U 0.1983 0.1983 0.0000
U 0.4025 0.4025 0.0000
U 0.5975 0.5975 0.0000
U 0.8017 0.8017 0.0000
C 0.1001 0.6001 0.5000
C 0.3016 0.8016 0.5000
C 0.5000 0.0000 0.5000
C 0.6984 0.1984 0.5000
C 0.8999 0.3999 0.5000

Structure and computed powder diffractogram of Tl2HgAuCl6 (a PBE-relaxed structure; λ = 1.5418 Å (Cu Kα)).
Kinematic intensities with the Lorentz-polarization factor, no thermal factor.

Largest 10 diffraction maxima, low angle first, 15° ≤ 2θ ≤ 90°:
- 21.34 deg, intensity 89
- 21.46 deg, intensity 87
- 22.31 deg, intensity 68
- 24.64 deg, intensity 68
- 25.45 deg, intensity 59
- 25.56 deg, intensity 59
- 33.48 deg, intensity 100
- 33.58 deg, intensity 30
- 35.92 deg, intensity 46
- 43.59 deg, intensity 40

Crystal structure
a = 6.9760 Å, b = 7.0100 Å, c = 8.2427 Å
α = 67.28°, β = 67.09°, γ = 62.21°
Fractional positions:
Tl 0.2136 0.2141 0.3131
Tl 0.7864 0.7859 0.6869
Hg 0.0000 0.0000 0.0000
Au 0.5000 0.5000 0.5000
Cl 0.2025 0.6802 0.3405
Cl 0.2199 0.2150 0.8972
Cl 0.3152 0.7989 0.6577
Cl 0.6848 0.2011 0.3423
Cl 0.7801 0.7850 0.1028
Cl 0.7975 0.3198 0.6595

Structure and computed powder diffractogram of Li4ErTh3Te8 (a PBE-relaxed structure; λ = 1.5418 Å (Cu Kα)).
Kinematic intensities with the Lorentz-polarization factor, no thermal factor.

Largest 10 diffraction maxima, low angle first, 15° ≤ 2θ ≤ 90°:
- 24.24 deg, intensity 33
- 29.03 deg, intensity 100
- 31.58 deg, intensity 23
- 41.01 deg, intensity 38
- 42.01 deg, intensity 37
- 51.88 deg, intensity 20
- 60.16 deg, intensity 12
- 67.45 deg, intensity 17